Tallinna Tehnikaülikooli spordihoone
Suur saalSports hall (for ballgames) | handball, futsal, basketball, volleyball, floorball |
Area | 1600 (m2) |
Length | 50 (m) |
Width | 32 (m) |
Height | 8 (m) |
Portable partitions | 2 |
Surface of the floor | wood |
Portable sports floor | no |
Specification of the floor | puitparkett |
Year of the floor installation | 2001 |
Stationary seats | 1000 |
Illuminance | 800 (lx) |
Seats in total | 1000 |
Electronic scoreboards | 1 |
Additional information for the scoreboards | 2 |
Stationary sound amplifier system | yes |
Additional information | Saalijalgpalliväljaku spetsiifilised väljakujooned puuduvad, mängitakse 40x20m käsipalliväljakul, olemas väravad. |
Handball | |
Standard handball courts (40x20m) | 1 |
Standard handball courts with international championships requirements (44x24m. base area 48x28m) | 1 |
Reduced handball courts (30-39x17-19m) | puudub |
Simultaneously usable handball courts | 1 |
Futsal | |
Size of the futsal field(s) | puudub |
Basketball | |
Standard basketball courts (28x15m) | 4 |
Standard basketball courts with international requirements (32x19m) | 3 |
Simultaneously usable standard basketball courts (28x15m) | 3 |
Simultaneously usable street basketball courts (22x12m ja 20x11m) | 6 |
Volleyball | |
Standard volleyball courts (18x9m) | 3 |
Standard volleyball courts with national requirements (24x15x7m) | 2 |
Simultaneously usable standard volleyball courts (18x9m) | 2 |
Floorball | |
Standard floorball fields (40x20m) | 1 |
Reduced floorball fields (36-39x18-19m) | puudub (m) |
Simultaneously usable floorball fields | 1 |
SulgpallOther sports hall | badminton |
Purpose | 2 sulgpalliväljakut |
Area | 205.9 (m2) |
Length | 29 (m) |
Width | 7.1 (m) |
Height | 5.6 (m) |
Surface of the floor | PVC |
Portable sports floor | no |
Year of the floor installation | 2001 |
Illuminance | 500 (lx) |
Electronic scoreboard | no |
Stationary sound amplifier system | no |
Badminton | |
Simultaneously usable badminton courts (13,4x6,1m) | 2 |
Jõusaal IGym | powerlifting, bodybuilding and fitness, weightlifting |
Area | 315 (m2) |
Surface of the floor | PVC |
Year of the floor installation | 2001 |
Equipment | Ergomeeterid, hantlid ja jõuseadmed erinevate lihasgruppide treenimiseks. |
Powerlifting | |
Bar(bell) | yes |
Squat stand | yes |
Press bench | yes |
Bodybuilding and fitness | |
Weightlifting | |
Podium | no |
Jõusaal IIGym | powerlifting, bodybuilding and fitness, weightlifting |
Area | 210 (m2) |
Surface of the floor | wood parquet |
Year of the floor installation | 2001 |
Equipment | Ergomeetrid, hantlid ja jõuseadmed kõikide peamiste lihasgruppide treenimiseks. |
Powerlifting | |
Bar(bell) | yes |
Squat stand | yes |
Press bench | yes |
Bodybuilding and fitness | |
Weightlifting | |
Podium | no |
Aeroobikasaal I(Aerobics) Studio | group trainings |
Area | 216 (m2) |
Length | 36 (m) |
Width | 6 (m) |
Height | 5.6 (m) |
Surface of the floor | wood parquet |
Portable sports floor | no |
Year of the floor installation | 2001 |
Mirror wall | yes |
Handrail | yes |
Stationary sound amplifier system | yes |
Group trainings |
Aeroobikasaal II(Aerobics) Studio | group trainings, gymnastics for all |
Area | 220 (m2) |
Length | 22 (m) |
Width | 10 (m) |
Height | 5.6 (m) |
Surface of the floor | wood parquet |
Portable sports floor | no |
Year of the floor installation | 2001 |
Mirror wall | yes |
Handrail | yes |
Stationary sound amplifier system | yes |
Group trainings | |
Gymnastics for all |
JooksuradaAthletics hall | athletics |
Description | Jooksurada soojendusjooksu tegemiseks, rajad ei oled tähistatud. |
Athletics |
-- begin --
# 1
A plane-wave DFT calculation with PBE was carried out for a geometry-optimized Sr2AgI structure.

abc: 8.742 8.742 8.587
angles: 90.00 90.00 90.00
Space group I-42d (No. 122)
One atom of each set of equivalent atoms:
Sr1 0.228 0.250 0.125 (multiplicity 8)
Ag1 0.000 0.000 0.000 (multiplicity 4)
I1 0.000 0.000 0.500 (multiplicity 4)

Properties
Formation energy (no corrections) (eV/atom): -0.548
Calculated volume (Å³/cell): 656.20
Energy relative to the lowest polymorph listed for this composition (meV per atom): 196


# 2
A plane-wave DFT calculation with PBE was carried out for a geometry-optimized SrAgI4 structure.

abc: 7.228 8.088 8.644
angles: 90.00 101.65 90.00
Space group P2_1/c (No. 14)
One atom of each set of equivalent atoms:
Sr1 0.000 0.000 0.000 (multiplicity 2)
Ag1 0.500 0.000 0.500 (multiplicity 2)
I1 0.158 0.158 0.363 (multiplicity 4)
I2 0.345 0.702 0.358 (multiplicity 4)

Properties
Formation energy (no corrections) (eV/atom): -0.812
Calculated volume (Å³/cell): 494.93


# 3
A plane-wave DFT calculation with PBE was carried out for a geometry-optimized Sr2AgI structure.

abc: 4.008 4.008 8.700
angles: 90.00 90.00 90.00
Space group P4/mmm (No. 123)
One atom of each set of equivalent atoms:
Sr1 0.000 0.000 0.216 (multiplicity 2)
Ag1 0.500 0.500 0.000 (multiplicity 1)
I1 0.500 0.500 0.500 (multiplicity 1)

Properties
Formation energy (no corrections) (eV/atom): -0.681
Calculated volume (Å³/cell): 139.75
Energy relative to the lowest polymorph listed for this composition (meV per atom): 64


# 4
A plane-wave DFT calculation with PBE was carried out for a geometry-optimized SrAg2I4 structure.

abc: 6.682 6.682 7.056
angles: 90.00 90.00 90.00
Space group P-42m (No. 111)
One atom of each set of equivalent atoms:
Sr1 0.000 0.000 0.000 (multiplicity 1)
Ag1 0.000 0.500 0.500 (multiplicity 2)
I1 0.271 0.271 0.268 (multiplicity 4)

Properties
Formation energy (no corrections) (eV/atom): -0.799
Calculated volume (Å³/cell): 315.03
Energy relative to the lowest polymorph listed for this composition (meV per atom): 49


# 5
A plane-wave DFT calculation with PBE was carried out for a geometry-optimized Sr2AgI6 structure.

abc: 7.603 7.603 14.202
angles: 90.00 90.00 90.00
Space group P4_2/mnm (No. 136)
One atom of each set of equivalent atoms:
Sr1 0.000 0.000 0.165 (multiplicity 4)
Ag1 0.000 0.000 0.500 (multiplicity 2)
I1 0.188 0.188 0.348 (multiplicity 8)
I2 0.208 0.208 0.000 (multiplicity 4)

Properties
Formation energy (no corrections) (eV/atom): -1.073
Calculated volume (Å³/cell): 821.02


# 6
A plane-wave DFT calculation with PBE was carried out for a geometry-optimized SrAg2I structure.

abc: 7.718 7.718 7.718
angles: 90.00 90.00 90.00
Space group Fm-3m (No. 225)
One atom of each set of equivalent atoms:
Sr1 0.000 0.000 0.000 (multiplicity 4)
Ag1 0.250 0.250 0.250 (multiplicity 8)
I1 0.000 0.000 0.500 (multiplicity 4)
-- stop --
(The entry goes on)
LauatennisOther sports hall | table tennis |
Purpose | 8 lauatenniselauaga harjutussaal |
Area | 304.8 (m2) |
Length | 63.5 (m) |
Width | 4.8 (m) |
Height | 5.5 (m) |
Surface of the floor | rubber |
Portable sports floor | no |
Specification of the floor | valatud kummisegu |
Year of the floor installation | 2001 |
Illuminance | 535 (lx) |
Electronic scoreboard | no |
Stationary sound amplifier system | no |
Additional information | 8 lauatenniselauda alaliselt üleval, eemaldatakse vajadusel |
Table tennis | |
Simultaneously usable standard table tennis table | 8 |
Organisation | Sport |
MTÜ Cheer Estonia | Cheerleading |
MTÜ TTÜ Korvpallikool | Basketball |
Nõmme Spordiklubi | Athletics, Table tennis |
Spordiklubi Fortis | Athletics |
Spordiklubi Los Toros | Basketball |
Spordiklubi Rewaltes | Volleyball |
Sportest Spordiklubi | Table tennis |
Sulgpalliklubi Superseeniorid | Badminton |
Tallinna Tehnikaülikooli Spordiklubi | Basketball, Table tennis, Volleyball |
Tallinna Võrkpalliklubi | Volleyball |